“What do you know about business?” she asked.

“More than you think. I know the first rule of thumb is to provide something to the public that they need.”

-- Here the article breaks off for crystal structures --
# BePtAu2, PBEsol geometry, DFT SCAN
# formation enthalpy at 0 K = -0.3659 eV per atom
# final energy = -53.58 eV/atom
# V = 14.165 Å³/atom
# DOS(E_F) = 0.27 states/eV/atom
data_BePtAu2
_symmetry_space_group_name_H-M 'P 1'
_symmetry_Int_Tables_number 1
_symmetry_space_group_name_Hall 'P 1'
_cell_length_a 2.821
_cell_length_b 2.821
_cell_length_c 7.122
_cell_angle_alpha 90.00
_cell_angle_beta 90.00
_cell_angle_gamma 90.00
loop_
_atom_site_label
_atom_site_type_symbol
_atom_site_fract_x
_atom_site_fract_y
_atom_site_fract_z
Au1 Au 0.500 0.500 0.293
Be1 Be 0.000 0.000 0.520
Pt1 Pt 0.500 0.500 0.696
Au2 Au 0.000 0.000 0.992


First-principles (PBE-GGA) data for crystalline Pm2Ho2Cd at its relaxed geometry, as listed in Alexandria.

The calculated volume comes out at 30.38 A^3/atom. As for the crystal system: tetragonal.

The space group is I4/mmm (No. 139) and the conventional cell measures 3.6050, 3.6050 and 23.3742 Å, with angles of 90.00, 90.00 and 90.00 degrees. The asymmetric unit holds Pm at (0.0000, 0.0000, 0.1940), Ho at (0.0000, 0.0000, 0.4136) and Cd at (0.0000, 0.0000, 0.0000).


First-principles (PBE-GGA) data for crystalline Pm3HoCd3 at its relaxed geometry, as listed in Alexandria.

The calculated volume comes out at 29.83 A^3/atom. As for the crystal system: orthorhombic.

The space group is Cmmm (No. 65) and the conventional cell measures 10.6659, 10.9367 and 7.1604 Å, with angles of 90.00, 90.00 and 90.00 degrees. The asymmetric unit holds Pm at (0.0000, 0.2462, 0.0000), Pm at (0.2334, 0.0000, 0.5000), Pm at (0.2346, 0.0000, 0.0000), Ho at (0.0000, 0.2493, 0.5000), Cd at (0.0000, 0.5000, 0.2542) and Cd at (0.2500, 0.2500, 0.2556).


First-principles (PBE-GGA) data for crystalline Pm2Ho3Cd at its relaxed geometry, as listed in Alexandria.

The calculated volume comes out at 32.07 A^3/atom. As for the crystal system: orthorhombic.

The space group is Imm2 (No. 44) and the conventional cell measures 3.4142, 17.2447 and 6.5357 Å, with angles of 90.00, 90.00 and 90.00 degrees. The asymmetric unit holds Pm at (0.0000, 0.1917, 0.0000), Ho at (0.0000, 0.1316, 0.5057), Ho at (0.0000, 0.5000, 0.3126) and Cd at (0.0000, 0.0000, 0.2064).


First-principles (PBE-GGA) data for crystalline Pm5Ho4Cd at its relaxed geometry, as listed in Alexandria.

The calculated volume comes out at 31.81 A^3/atom. As for the crystal system: tetragonal.

The space group is P4/mmm (No. 123) and the conventional cell measures 3.6142, 3.6142 and 24.3536 Å, with angles of 90.00, 90.00 and 90.00 degrees. The asymmetric unit holds Pm at (0.0000, 0.0000, 0.0000), Pm at (0.0000, 0.0000, 0.2061), Pm at (0.0000, 0.0000, 0.4124), Ho at (0.5000, 0.5000, 0.1031), Ho at (0.5000, 0.5000, 0.3092) and Cd at (0.5000, 0.5000, 0.5000).


First-principles (PBE-GGA) data for crystalline Pm7HoCd4 at its relaxed geometry, as listed in Alexandria.

The calculated volume comes out at 30.65 A^3/atom. As for the crystal system: monoclinic.

“Women like me need resources to escape the lives they were bred in,” she said.

“Then the next question you need to ask yourself is this: is there a big enough market for what you’re selling?”

The blank stare on her face told me she hadn’t thought any of this through. And I felt bad for her. I really did. She was a product of a family that had failed her, and the more she talked about them the more I knew it was that same Lucas family. They were born out of Seattle but owned half of Kettle as well as other smaller areas of the Washington State area. Our families weren’t really rivals, but they were a family that had been putting bids in to buy the rest of the Kettle area. They got ruthless there for awhile, trying to dig up dirt on my family and blast us in the media. They tried to rally the town around them in order to force us to sell.

But the strong-armed tactics didn’t work with my father and they finally backed down.

Her family had been one of the several we had battled against for this land over the years. And with the way it sounded like the Lucas family operated, Ava probably had no idea who I was. She probably had no idea that she was looking at the son of the man her father tried to bury with lies and deceit and dirt. Her helpless stance on life was born from her family’s own helpless disposition and anger, and she was scrambling. I could tell Ava didn’t want the life her family had set out for her to have, but she hadn’t been raised with the tools to create a life of her own.

She packed up her shit, left, and hoped she could learn things along the way.

It took a great deal of confidence and courage to pull some shit like that. And part of me admired her for it.

“No,” she said. “I haven’t thought about college yet.”

I suppressed the grin trying to grow across my cheeks as she backtracked into the cabin. I felt sorry for her and the position she had found herself in because of her family, but she had a fire in her that drew me in. She came from a wealthy family but wanted nothing to do with it. She knew what it was like to have money and she was willing to leave all of it to start a life of her own. A life she could be proud of and smile at whenever she got up in the morning.

In some ways, Ava Lucas was stronger than I ever had been.

Funny how tables easily turned like that.



I walked back into the cabin and sat down on the couch. College? Was that something I could do with my life? I hadn’t had the option growing up. I graduated high school and immediately delved into the role my family expected me to have. Society-wide parties and formal functions. Winter and spring balls with gowns that sparkled and flowed. Sliding into the life my parents wanted for me was easier than trying to get them to understand that I had other plans for my life.

At least, it was easier for a while.

Once they started setting me up on blind dates, however, my tune changed. I found out they expected me to marry. I figured out I wasn’t going to be able to wait out their insane familial views or outgrow their needs for my life. They were determined to push me into their lifestyle one way or another. So, I started to rebel. Telling them things I wanted and didn’t want, even though it incurred the wrath and anger of my father. That was when the name-calling started. Things like ‘embarrassment’ and ‘selfish’. ‘Bratty’ and ‘vulgar’. Like I had cursed the entire family and had resolved myself to a life of dancing in a cage in some club.


But all I wanted was to make my own decisions for my own life. And that didn’t fit in with my father’s plan.

But college? Who the hell did this Travis person think he was? Did he think he was going to fix my car and just start throwing around his own expectations for my life? The last thing I needed was someone else telling me what they thought I should do with my life. This was my life. It was my heart that beat in my chest and my thoughts that ran through my head. Even if I had wanted to attend college at one point, now I had other plans.

Plans that required me to be in California.

My phone rang in my pocket and it caught me off guard. With the amount of rainwater that drenched my body last night, I expected my phone to be dead. But there it was, vibrating in my pocket. I pulled it out and saw it was my father calling, so I ignored it. Then my mother called, and I ignored it again.

My brothers called, my aunts called, and even a few of my cousins called. Everyone was trying to get in touch with me. Travis was outside doing hell-knew-what with my car, I was sitting in a cabin that was just as foreign as the mountains around me, and the one thing I was trying to escape was ringing through on my phone that, somehow, still worked.

Fucking great.

“Hello?” I asked.

“Ava Laura Lucas. Where the hell are you?”

“Nice to hear from you, too, father,” I said.

“Where in the world did you get off to? Your mother and I have been worried sick.”

“Just stayed at a friend’s house last night,” I said. “Nothing major.”